High Court rules minister can temporary block Israel Prize for leftist math prof

Ruling means Oded Goldreich, who has been accused of supporting boycotts of Israel, will not receive the award at next week’s ceremony

/*
This record from Alexandria via LeMat-Bulk describes crystalline AlGe3Bi at its relaxed geometry. The functional is PBE-GGA.

abc: 5.5012 5.5012 5.5012
angles: 90.00 90.00 90.00
Positions (direct):
Ge 0.0000 0.5000 0.0000
Al 0.5000 0.5000 0.5000
Bi 0.0000 0.0000 0.0000
Ge 0.5000 0.0000 0.0000
Ge 0.0000 0.0000 0.5000

Values from the calculation:
Crystal system   cubic
Formation energy from the elements   1.19 eV per atom
Offset from the most stable computed form   746 meV/atom


This record from Alexandria via LeMat-Bulk describes crystalline Y2TeAs2 at its relaxed geometry. The functional is PBE-GGA.

abc: 8.0366 8.0366 3.9755
angles: 90.00 90.00 90.00
Positions (direct):
Y 0.1691 0.3309 0.0000
As 0.3872 0.1128 0.5000
As 0.6128 0.8872 0.5000
As 0.8872 0.3872 0.5000
Te 0.5000 0.5000 0.0000
Y 0.8309 0.6691 0.0000
Y 0.3309 0.8309 0.0000
Y 0.6691 0.1691 0.0000
As 0.1128 0.6128 0.5000
Te 0.0000 0.0000 0.0000

Values from the calculation:
Crystal system   tetragonal
Raw formation energy   -1.044 eV per atom
Offset from the most stable computed form   82 meV/atom


This record from Alexandria via LeMat-Bulk describes crystalline Tl2BAs at its relaxed geometry. The functional is PBE-GGA.

abc: 6.0390 6.0390 7.0256
angles: 64.55 64.55 90.00
Positions (direct):
Tl 0.8750 0.8130 0.7500
Tl 0.3750 0.4370 0.7500
As 0.0000 0.0000 0.0000
B 0.2500 0.7500 0.5000
Tl 0.1870 0.6250 0.2500
Tl 0.5630 0.1250 0.2500
As 0.7500 0.2500 0.5000
B 0.5000 0.5000 0.0000

Values from the calculation:
Crystal system   tetragonal
Formation energy from the elements   0.80 eV per atom
Offset from the most stable computed form   0 meV/atom


This record from Alexandria via LeMat-Bulk describes crystalline LaHfIN2 at its relaxed geometry. The functional is PBE-GGA.

abc: 4.3487 4.3487 5.4916
angles: 90.00 90.00 90.00
Positions (direct):
N 0.5000 0.0000 0.0000
La 0.5000 0.5000 0.5000
I 0.0000 0.0000 0.5000
N 0.0000 0.5000 0.0000
Hf 0.0000 0.0000 0.0000

Values from the calculation:
Crystal system   tetragonal
Raw formation energy   -0.318 eV per atom
Offset from the most stable computed form   0 meV/atom


This record from Alexandria via LeMat-Bulk describes crystalline Li2SbAu2 at its relaxed geometry. The functional is PBE-GGA.

abc: 3.9145 3.9145 6.9084
angles: 73.54 73.54 90.00
Positions (direct):
Au 0.6110 0.6110 0.7781
Sb 0.0000 0.0000 0.0000
Li 0.2500 0.7500 0.5000
Au 0.3890 0.3890 0.2219
Li 0.7500 0.2500 0.5000

Values from the calculation:
Crystal system   tetragonal
Raw formation energy   -0.203 eV per atom
Offset from the most stable computed form   243 meV/atom


This record from Alexandria via LeMat-Bulk describes crystalline Y2Cu4Ni3 at its relaxed geometry. The functional is PBE-GGA.

abc: 4.9002 4.9777 6.7758
angles: 79.75 68.80 60.51
Positions (direct):
Ni 0.0000 0.0000 0.0000
Y 0.6308 0.0000 0.7383
Cu 0.6629 0.3391 0.3352
Cu 0.9981 0.3391 0.6648
Y 0.3692 0.0000 0.2617
Ni 0.5000 0.5000 0.0000
Ni 0.0000 0.5000 0.0000
Cu 0.0019 0.6609 0.3352
Cu 0.3371 0.6609 0.6648
*/

The High Court of Justice on Thursday ruled that Education Minister Yoav Gallant can temporarily block the awarding of the prestigious Israel Prize to a candidate accused of supporting the boycott, divestment and sanctions movement against Israel.

The ruling came in response to a petition filed by the committee for selecting a winner of the Israel Prize in mathematics and computer science over Gallant’s efforts to stop the prize from going to Oded Goldreich. The committee selected Goldreich, a professor at the Weizmann Institute, for his work on computational complexity theory.

According to a television report last month, Gallant asked the committee to reconsider its decision to grant the prize to Goldreich over his signing of a 2019 letter calling on Germany’s parliament not to pass legislation denouncing BDS as anti-Semitic. The Channel 12 news report said it was also claimed Goldreich called Israeli soldiers “war criminals.”

The entry is interrupted by records of crystals:
____________
# 1
La2Tb4H: relaxed, PBE.

Its total energy is -4.47 eV per atom.

The space group is I4/mmm (No. 139) and the conventional cell measures 4.9015, 4.9015 and 17.6147 Å, with angles of 90.00, 90.00 and 90.00 degrees. The distinct sites, in fractional coordinates, are La at (0.0000, 0.0000, 0.1571), Tb at (0.0000, 0.0000, 0.3593), Tb at (0.0000, 0.5000, 0.0000) and H at (0.0000, 0.0000, 0.0000).

# 2
La2TbH8: relaxed, PBE.

Its total energy is -4.37 eV per atom.

The space group is Immm (No. 71) and the conventional cell measures 3.8911, 5.3176 and 11.6690 Å, with angles of 90.00, 90.00 and 90.00 degrees. The distinct sites, in fractional coordinates, are La at (0.0000, 0.0000, 0.1690), Tb at (0.0000, 0.0000, 0.5000), H at (0.0000, 0.2512, 0.3476), H at (0.0000, 0.2550, 0.0000) and H at (0.0000, 0.5000, 0.1716).

# 3
La3Tb5H12: relaxed, PBE.

Its total energy is -4.38 eV per atom.

The space group is Ia-3d (No. 230) and the conventional cell measures 13.4924, 13.4924 and 13.4924 Å, with angles of 90.00, 90.00 and 90.00 degrees. The distinct sites, in fractional coordinates, are La at (0.0000, 0.2500, 0.1250), Tb at (0.0000, 0.0000, 0.0000), Tb at (0.0000, 0.2500, 0.3750) and H at (0.0095, 0.0672, 0.6519).

----------

First-principles (PBE) data for Mg3Ni4 after structural relaxation, as listed in the Alexandria database.

abc: 5.1919 5.1919 4.4598
angles: 90.00 90.00 120.00
Space group P6/mmm (No. 191)
Symmetry-distinct sites (fractional):
Mg 0.0000 0.5000 0.0000
Ni 0.0000 0.0000 0.2538
Ni 0.3333 0.6667 0.5000

Calculated values
Magnetic moment: 1.04 μB per cell
Energy relative to the lowest polymorph listed for this composition: 0.408 eV/atom
Crystal system: hexagonal

----------

Nd3Sm5Cd2 | PBE | optimized geometry

Computed properties:
Fermi-level density of states = 14.02 states/eV/f.u.

Cell: 10.5873 10.5873 10.5873 Å, 101.73 89.98 142.85°
Closest atoms and distances in Å follow each position.
Atoms (fractional coordinates):
Nd  0.2280  0.1384  0.3664  4 Sm 3.53-3.74, 4 Cd 3.63-3.87
Nd  0.2500  0.2500  0.0000  4 Cd 3.21, 2 Nd 3.37, 2 Sm 3.44
Nd  0.2720  0.6384  0.9103  4 Sm 3.53-3.74, 4 Cd 3.63-3.87
Nd  0.7280  0.3616  0.0897  4 Sm 3.53-3.74, 4 Cd 3.63-3.87
Nd  0.7500  0.7500  0.0000  4 Cd 3.21, 2 Nd 3.37, 2 Sm 3.44
Nd  0.7720  0.8616  0.6336  4 Sm 3.53-3.74, 4 Cd 3.63-3.87
Sm  0.1700  0.3999  0.5699  1 Cd 2.90
Sm  0.2500  0.5072  0.2572  2 Cd 3.14, 3 Sm 3.24-3.37, 1 Nd 3.44
Sm  0.2500  0.7500  0.5000  8 Sm 3.24-3.37
Sm  0.2500  0.9928  0.7428  2 Cd 3.14, 3 Sm 3.24-3.37, 1 Nd 3.44
Sm  0.3300  0.8999  0.2300  1 Cd 2.90
Sm  0.6700  0.1001  0.7700  1 Cd 2.90
Sm  0.7500  0.0072  0.2572  2 Cd 3.14, 3 Sm 3.24-3.37, 1 Nd 3.44
Sm  0.7500  0.2500  0.5000  8 Sm 3.24-3.37
Sm  0.7500  0.4928  0.7428  2 Cd 3.14, 3 Sm 3.24-3.37, 1 Nd 3.44
Sm  0.8300  0.6001  0.4301  1 Cd 2.90
Cd  0.1384  0.8668  0.0052  3 Sm 2.90-3.14, 2 Nd 3.21
Cd  0.3616  0.3668  0.7284  3 Sm 2.90-3.14, 2 Nd 3.21
Cd  0.6384  0.6332  0.2716  3 Sm 2.90-3.14, 2 Nd 3.21
____________

Goldreich has stressed the letter did not call to boycott Israel and that he does not support BDS. He has also come under fire for a letter he signed last month calling on the European Union to halt funding for Ariel University in the West Bank, saying it legitimized Israeli settlements.

In their ruling, the judges said Gallant can look into whether he can prevent the prize from going to Goldreich, giving him a month to do so. With the awards ceremony set to be filmed on April 11, the court’s decision meant Goldreich was effectively prevented from receiving the prize then.

“If it is decided to award Professor Goldreich the prize, this can be done at the Israel Prize ceremony next year or an earlier date at Professor Goldreich’s choosing,” the judges said.

The prize’s mathematics and computer science committee said Thursday it was dismayed that the award had turned into “a political playing field, and that the regulations of the prize are not being upheld by the education minister.” It called on the court to ensure that Goldreich receives the prize.

Michael Sfard, Goldreich’s attorney, said that Gallant and Attorney General Avichai Mandelblit “created a clear McCarthyistic track for denying the Israel Prize to people with positions opposing occupation, expulsion and apartheid, and thus bar from it an entire political camp in Israel that is guilty of the same crime.”

The High Court has previously rejected petitions against awarding the prize to certain candidates, including last year when it was awarded to Rabbi Yaakov Ariel, who has made disparaging comments about LGBT people.